What to do >
Could you work out how many lines underneath have the word "Bi2" in them; a number is enough?

Excerpt >
- - -
No. 1
# SrAlAg2, optimized geometry, DFT PBE
# VASP energy: -2.8330 eV/atom
data_SrAlAg2
_chemical_formula_sum 'Sr1 Al1 Ag2'
_space_group_name_H-M_alt 'P 1 2/m 1'
_space_group_IT_number 10
_cell_length_a 3.419
_cell_length_b 4.370
_cell_length_c 6.582
_cell_angle_alpha 90.00
_cell_angle_beta 102.67
_cell_angle_gamma 90.00
loop_
_space_group_symop_operation_xyz
'x,y,z'
'-x,-y,-z'
'-x,y,-z'
'x,-y,z'
loop_
_atom_site_label
_atom_site_type_symbol
_atom_site_fract_x
_atom_site_fract_y
_atom_site_fract_z
Sr1 Sr 0.000 0.000 0.000
Al1 Al 0.500 0.000 0.500
Ag1 Ag 0.335 0.500 0.695

No. 2
# ZnPt2W, optimized geometry, DFT PBE
# VASP energy: -6.6985 eV/atom
data_ZnPt2W
_chemical_formula_sum 'Zn2 Pt4 W2'
_space_group_name_H-M_alt 'I 4/m m m'
_space_group_IT_number 139
_space_group_name_Hall '-I 4 2'
_cell_length_a 3.921
_cell_length_b 3.921
_cell_length_c 7.918
_cell_angle_alpha 90.00
_cell_angle_beta 90.00
_cell_angle_gamma 90.00
loop_
_atom_site_label
_atom_site_type_symbol
_atom_site_fract_x
_atom_site_fract_y
_atom_site_fract_z
Zn1 Zn 0.000 0.000 0.000
Pt1 Pt 0.000 0.500 0.250
W1 W 0.000 0.000 0.500

No. 3
# YTaPt3, optimized geometry, DFT PBE
# E above lowest polymorph: 6.66 eV per formula unit
data_YTaPt3
_chemical_formula_sum 'Y1 Ta1 Pt3'
_space_group_name_H-M_alt 'P m -3 m'
_space_group_IT_number 221
_space_group_name_Hall '-P 4 2 3'
_cell_length_a 4.937
_cell_length_b 4.937
_cell_length_c 4.937
_cell_angle_alpha 90.00
_cell_angle_beta 90.00
_cell_angle_gamma 90.00
loop_
_atom_site_label
_atom_site_type_symbol
_atom_site_fract_x
_atom_site_fract_y
_atom_site_fract_z
Y1 Y 0.000 0.000 0.000
Ta1 Ta 0.500 0.500 0.500
Pt1 Pt 0.000 0.000 0.500

No. 4
# KNaSiB2, optimized geometry, DFT PBE
# ΔE_f (raw): 1020 meV/atom
data_KNaSiB2
_chemical_formula_sum 'K1 Na1 Si1 B2'
_space_group_name_H-M_alt 'P 4/m m m'
_space_group_IT_number 123
_space_group_name_Hall '-P 4 2'
_cell_length_a 4.149
_cell_length_b 4.149
_cell_length_c 5.202
_cell_angle_alpha 90.00
_cell_angle_beta 90.00
_cell_angle_gamma 90.00
loop_
_atom_site_label
_atom_site_type_symbol
_atom_site_fract_x
_atom_site_fract_y
_atom_site_fract_z
K1 K 0.000 0.000 0.000
Na1 Na 0.500 0.500 0.000
Si1 Si 0.500 0.500 0.500
B1 B 0.000 0.500 0.500

No. 5
# LiGdSn, optimized geometry, DFT PBE
# VASP energy: -7.2476 eV/atom
data_LiGdSn
_chemical_formula_sum 'Li1 Gd1 Sn1'
_space_group_name_H-M_alt 'P -6 m 2'
_space_group_IT_number 187
_space_group_name_Hall 'P -6 2'
_cell_length_a 4.7870
_cell_length_b 4.7870
_cell_length_c 3.6026
_cell_angle_alpha 90.00
_cell_angle_beta 90.00
_cell_angle_gamma 120.00
loop_
_atom_site_label
_atom_site_type_symbol
_atom_site_fract_x
_atom_site_fract_y
_atom_site_fract_z
Li1 Li 0.0000 0.0000 0.0000
Gd1 Gd 0.6667 0.3333 0.5000
Sn1 Sn 0.3333 0.6667 0.0000

No. 6
# Sr3Bi4, optimized geometry, DFT PBE
# VASP energy: -3.6560 eV/atom
data_Sr3Bi4
_chemical_formula_sum 'Sr12 Bi16'
_space_group_name_H-M_alt 'C m c 21'
_space_group_IT_number 36
_cell_length_a 4.775
_cell_length_b 12.565
_cell_length_c 17.159
_cell_angle_alpha 90.00
_cell_angle_beta 90.00
_cell_angle_gamma 90.00
loop_
_space_group_symop_operation_xyz
'x,y,z'
'-x,-y,z+1/2'
'-x,y,z'
'x,-y,z+1/2'
'x+1/2,y+1/2,z'
'-x+1/2,-y+1/2,z+1/2'
'-x+1/2,y+1/2,z'
'x+1/2,-y+1/2,z+1/2'
loop_
_atom_site_label
_atom_site_type_symbol
_atom_site_fract_x
_atom_site_fract_y
_atom_site_fract_z
Sr1 Sr 0.000 0.064 0.000
Sr2 Sr 0.000 0.332 0.847
Sr3 Sr 0.000 0.333 0.153
Bi1 Bi 0.000 0.000 0.250
Bi2 Bi 0.000 0.209 0.500
Bi3 Bi 0.000 0.378 0.356
Bi4 Bi 0.000 0.378 0.643

No. 7
# NdAl4Pd2Pt, optimized geometry, DFT PBE
# VASP energy: -5.3307 eV/atom
data_NdAl4Pd2Pt
_chemical_formula_sum 'Nd3 Al12 Pd6 Pt3'
_space_group_name_H-M_alt 'R -3 m'
_space_group_IT_number 166
_space_group_name_Hall '-R 3 2"'
_cell_length_a 4.2939
_cell_length_b 4.2939
_cell_length_c 27.1172
_cell_angle_alpha 90.00
_cell_angle_beta 90.00
_cell_angle_gamma 120.00
loop_
_atom_site_label
_atom_site_type_symbol
_atom_site_fract_x
_atom_site_fract_y
_atom_site_fract_z
- - -

Done >
1